Children's Services

Calculated molecules from another source follow.
- - -
ORCA calculation (ωB97M-V/def2-TZVPD) on a 2-piece molecular cluster, C3H10N2 overall at a distorted geometry.

Each line ends with the Mulliken charge.
Atoms and positions in Å:
C1 -2.79379 -0.16417 0.43868  -0.34
N1 -2.38414 0.81682 -0.24343  -0.41
H1 -3.71593 -0.64043 0.08404  0.26
H2 -2.10429 -0.47468 1.21599  0.29
H3 -2.72021 1.02005 -1.17599  0.21
C2 0.84789 -1.16550 0.24162  -0.69
N2 1.82640 -0.34296 -0.42721  -0.40
C3 1.70517 1.10107 -0.40354  -0.73
H4 1.18687 -2.18441 0.39379  0.32
H5 -0.17546 -1.13213 -0.13571  0.18
H6 0.69966 -0.76464 1.27158  0.28
H7 2.69468 -0.48900 0.08380  0.24
H8 0.64942 1.25380 -0.68944  0.27
H9 1.97916 1.59983 0.53975  0.26
H10 2.30459 1.56634 -1.19394  0.26

Properties
- E_HOMO (eV) = -8.535
- energy above the lowest of the compared OMol25 structures with the same formula, charge and spin (kJ/mol) = 206.63
- 2S+1 = 1
- E_LUMO (eV) = 1.15
- HOMO-LUMO gap (eV) = 9.7
- SMILES string = C=N.CNC
- strongest force on any atom (eV/Å) = 2.5
- energy (eV) = -6251.2868

=====

Entry 1:
80
Properties=species:S:1:pos:R:3 method="wB97M-V/def2-TZVPD" orbital_gap_ev="8.635 / 4.852" mol_weight_g_mol=689.41 s_squared=6.014 spin_multiplicity=5 total_charge=+1
Rh -0.18504 -0.13519 0.03743
C -2.98230 -0.81474 4.41368
C -2.40383 -1.23762 3.11549
C -2.07083 -2.50870 2.67655
C -1.73722 -2.35625 1.29893
N -1.78051 -1.03850 0.98247
N -2.17342 -0.33842 2.13375
B -2.04012 1.21879 2.07114
N -0.57762 1.73679 2.20336
N 0.22707 1.61181 1.05160
C 1.39918 2.18539 1.30789
C 1.43706 2.62412 2.65457
C 0.16312 2.38383 3.15052
C -0.42378 2.78397 4.45318
C 2.48695 2.44924 0.37474
C 3.74729 2.71986 0.96914
C 4.92003 2.84444 0.23134
C 4.81264 2.76450 -1.15214
C 3.58922 2.59317 -1.80473
C 2.42286 2.39479 -1.04867
N -2.46056 1.61323 0.60347
N -1.66307 1.06716 -0.38592
C -2.23309 1.38582 -1.56083
C -3.40036 2.16232 -1.31748
C -3.48781 2.27907 0.05685
C -4.41039 3.03111 0.91327
C -1.68272 1.00437 -2.87767
C -0.54222 0.21002 -3.16458
C -0.14681 -0.00886 -4.46132
C -0.85065 0.56040 -5.50928
C -1.93970 1.36209 -5.26099
C -2.38706 1.55116 -3.96206
C -1.55462 -3.45052 0.33863
C -1.44232 -4.72472 0.93206
C -1.25400 -5.85736 0.14039
C -1.15379 -5.74637 -1.25244
C -1.27917 -4.49584 -1.85836
C -1.51865 -3.35749 -1.09770
H -3.45959 -1.70339 4.91265
H -3.73231 -0.00960 4.23433
H -2.17928 -0.42322 5.10182
H -2.05601 -3.41018 3.25938
H -2.75689 1.80764 2.86260
H 2.20888 3.20118 3.17486
H 0.39985 2.92998 5.17624
H -1.19121 2.07779 4.78619
H -0.92218 3.77025 4.33057
H 3.81316 2.72674 2.05216
H 5.86187 3.04712 0.69937
H 5.70684 2.78710 -1.73624
H 3.54459 2.50829 -2.87974
H 1.46014 2.24513 -1.53581
H -4.09165 2.54746 -2.06463
H -5.22412 3.51815 0.35667
H -3.84682 3.80152 1.52072
H -4.83645 2.30270 1.65649
H 0.04201 -0.17810 -2.32221
H 0.73282 -0.58020 -4.68774
H -0.50234 0.40671 -6.50073
H -2.44151 1.84766 -6.08070
H -3.22210 2.22024 -3.76522
H -1.47931 -4.86825 2.00844
H -1.25012 -6.83852 0.61400
H -1.01568 -6.61865 -1.85332
H -1.21140 -4.40816 -2.92793
- - -
Every day, early childhood educators (ECEs) provide Ontario’s children with safe, responsive, and caring interactions that build a strong foundation for their development and well-being.
Children who participate in high-quality learning environments experience increased verbal communication, reading, math, and science skills, as well as a host of other benefits.
Uncover the facts about the many ways ECEs benefit children, their families, and the growth of our economy. Download our fact sheet.
We provide leadership to ensure quality, inclusive early learning and child care programs are available to support families across the Algoma District.
This includes:
- Child Care Fee Subsidy
- Supporting Children with Special Needs
- Quality Assurance
- EarlyON Child and Family Centres
- Community Planning
- Canada Wide Early Learning and Child Care Directed Growth Plan (Click here for PDF)
Children’s Services is responsible for the delivery of early learning and child care services in Algoma and promotes access to high quality early learning, child care and supports for families. Children’s Services supports children’s programs that:
- Care for children in a safe, nurturing environment
- Support the needs of working parents
- Are flexible and provide choice
- Support children and families at risk or with special needs
- Provide quality care that is affordable, effective and accessible
Note: the information on this website is only a guideline, and is subject to change. It does not reflect all policies and procedures of Social Planning and Service Standard’s Children Services division. If you require further clarification on any of the information presented here, please contact the Algoma District Services Administration office in your area.
Child Care Fee Subsidy Program
_Misplaced records of molecules_
+++
# 1
118
Properties=species:S:1:pos:R:3:mulliken_charge:R:1 method="wB97M-V/def2-TZVPD" e_above_lowest_kcal_mol=48.72 smiles="COC[C@H](C)N.COC[C@H](C)N.COC[C@H](C)N.COC[C@H](C)N.COC[C@H](C)N.COC[C@H](C)N.NC(N)=O.NC(N)=O" lumo_energy_ev=0.10 homo_lumo_gap_ev=8.3849 e_homo_ha=-0.3046 fmax_ev_per_a=2.1
O 5.3949 -0.6551 -4.1198 -0.304
O -4.1419 -4.1510 3.6534 -0.368
O -1.4855 3.7070 0.0294 -0.301
O 2.1982 -0.0855 4.9081 -0.694
O 0.7248 0.2374 0.9722 0.262
O 1.1966 3.4469 -5.6254 -0.378
O 5.7843 0.0545 2.6080 -0.431
O -7.6151 -3.9228 -1.8807 -0.637
N 6.2935 2.5532 -2.5537 -0.720
N -3.6125 2.4066 -1.5177 -0.516
N 0.7044 1.3294 3.9202 -0.218
N -0.2445 4.4209 -2.3587 -0.601
N -5.6959 -2.7297 -1.5971 -0.261
N -2.1318 -0.0488 0.7295 -0.306
N -6.2918 -7.0946 3.2532 -0.658
N 1.2024 1.5623 6.1423 -0.438
N 4.2565 -1.8393 3.8541 -0.808
N -7.5254 -1.7773 -2.6195 -0.374
C -1.7668 -2.2055 -0.2234 -1.602
C 0.0862 -0.6841 0.0834 -0.886
C -3.6690 -3.0878 2.8699 -0.618
C -1.1854 -1.1600 0.7442 0.541
C -5.2214 -6.2880 3.8586 0.351
C 5.7223 0.7238 -4.1461 -0.254
C 4.6548 -0.4324 1.8794 0.324
C 1.3881 0.8191 4.9930 0.499
C 5.3940 -1.2577 -5.3867 -0.779
C 2.5948 3.4725 -5.4783 -0.499
C 1.8078 0.9588 0.3591 -0.358
C 5.8023 1.1921 -2.7028 0.394
C -0.5432 3.5839 1.0695 -0.547
C -5.2325 3.6711 0.0290 -1.458
C -0.4781 2.2473 -3.3366 -0.428
C 4.2462 -1.8118 2.4022 0.036
C 2.8882 -2.2123 1.8481 -0.967
C 0.5513 4.2295 -4.6507 -1.142
C -4.0886 -7.2440 4.2754 -1.376
C 4.4705 1.0496 -1.9405 -0.595
C -6.9970 -2.8664 -1.9726 0.645
C 0.4175 3.5153 -3.2969 1.015
C -4.8641 -5.1375 2.9504 -0.647
C -2.8310 3.5816 0.5047 -0.880
C -3.8560 3.5506 -0.6050 0.448
C 6.4250 1.1894 2.0839 -0.693
H 0.7696 0.8568 3.0327 0.140
H -5.9508 -7.6534 2.4849 0.238
H -1.4318 2.4535 -3.8204 0.376
H -0.0322 1.3821 -3.8449 0.360
H 5.0238 -2.5082 2.0668 0.279
H 7.0362 0.9627 1.2024 0.242
H 0.0392 2.0707 4.0137 0.191
H 4.7858 -2.1613 -5.3415 0.258
H -3.5879 -7.5787 3.3653 0.305
H 5.0303 -0.6261 -6.2034 0.312
H 4.9301 -0.4393 0.8198 0.229
H -6.1126 3.7437 -0.6021 0.349
H 6.4944 0.5572 -2.1381 0.275
H -2.6997 -3.3842 2.4555 0.288
H 2.2986 1.5732 1.1100 0.487
H 2.8598 -2.1260 0.7594 0.293
H 5.1454 -1.4181 4.0999 0.390
H 3.5068 -1.3014 4.2843 0.496
H 2.4857 0.1280 0.1331 -0.132
H -4.2740 -5.5339 2.1099 0.296
H 5.6911 1.9888 1.9649 0.271
H -1.0740 -3.0494 -0.2793 0.417
H -7.0029 -0.9254 -2.6371 0.156
H -0.5014 4.3527 -4.9271 0.420
H -2.8779 2.6924 1.1462 0.385
H 0.4660 3.5721 0.6640 0.232
H -2.9991 4.4627 1.1366 0.426
H -3.4342 -6.7771 5.0208 0.312
H -6.7288 -7.6371 3.9795 0.258
H -5.3478 2.7850 0.6663 0.366
H -4.0142 1.5625 -1.1050 0.284
H -1.1122 4.8075 -2.7076 0.323
H 2.6115 -3.2254 2.1343 0.354
H 1.4144 1.4794 -0.5143 -0.078
H -4.3773 -8.1227 4.8559 0.407
H -3.5748 -2.1809 3.4659 0.304
H -0.6503 2.6429 1.6226 -0.017
H 3.8122 1.8487 -2.2914 -0.349
H 0.9448 5.2461 -4.5840 0.434
H -2.6263 2.1754 -1.4349 0.047
H 4.8412 1.2602 -0.9344 0.224
H -8.3957 -1.9532 -3.0839 0.211
H 0.4573 2.2244 6.0854 0.147
+++
Children’s Services provides child care fee subsidy for children to parents and guardians in need of financial assistance who are working, job searching, attending school or training, or have children with special needs. We are committed to ensuring that quality, affordable licensed child care is available to qualifying families of Algoma, to ensure healthy child growth and development and well-being.
What is the Child Care Fee Subsidy
The Child Care Fee Subsidy Program helps qualifying families cover the cost of licensed child care. Quality child care plays a key role in helping children develop the skills they need to be life long learners. It is also an essential support for many parents, helping them to balance the demands of career and family while participating in the workforce or pursuing education or training.
In order to qualify, parent(s) or guardians must be working or job searching; attending school or training; receiving Ontario Works benefits while participating in an approved activity; or there must be a social or special need. Parent(s) or guardians of a child applying to a licensed child care program, or a ‘before and after’ school program, may qualify if the child is up to 12 years old, or up to 18 years old if the child has special needs. After your application is received eligibility is determined at your intake interview, using a provincially mandated income test, provincial legislation, and municipal guidelines.
Based on eligibility, parents may pay a portion of the daily cost of child care to the child care centre and Children’s Services pays the balance of the daily cost directly to the child care centre.
Eligibility for child care subsidy is based on your “adjusted income”. Adjusted income is the net income which is shown on line 236 of your last year’s Federal Notice of Assessment document for both parents. As a result, parents applying for child care subsidy must provide a copy of:
The Federal Notice of Assessment and the Universal Child Care Benefit Statement (RC62) (if receiving this benefit)
OR The Canadian Child Tax Benefit (CCTB) Notice (see below).
The Canadian Child Tax Benefit (CCTB) Notice
Persons with a total adjusted income of $20 000.00 or less qualify for a full subsidy. Income amounts are categorized within the three levels listed below. Parents can expect to pay the following towards yearly child care costs, as based on their income levels:
Income Amount | Calculation of Parental Contribution |
Under $20,000 | 0% of income under $20,000 (Full fee subsidy, no calculation) |
$20,000 – $40,000 | 0% of income under $20,000 plus 10% of any income over $20,000 |
Over $40,000 | 0% of income under $20,000 plus 10% of any income over $20,000 plus 30% of any income over $40,000 |
Note: This yearly amount will be used to further calculate the monthly and daily fees. Ongoing eligibility will continue to be based on the income of either one or both parents as appropriate. You will never pay more than the actual cost of the child care without subsidy.
Supporting Children with Special Needs
The Algoma District Services Administration Board purchases special needs resourcing services from Children’s Rehabilitation Centre Algoma. Services for children with special needs are offered in all licensed child care sites within the Algoma District. Early Childhood Education Resource Consultants, Child Care staff and the family work together for the successful inclusion of every child into the child care program.
Quality Assurance
We are committed to providing high quality early learning and development opportunities for children and families across the Algoma district. Children, families and educators are well supported by a system of responsive, high-quality, accessible, and increasingly integrated early years programs and services that set the foundations for lifelong learning.
Programs value children as competent, capable of complex thinking, curious, and rich in potential. They see families as belonging, valuable contributors to their children’s learning, and deserve to be engaged in a meaningful way. Educators are knowledgeable, caring, reflective and resourceful professionals. They are valuable contributors engaged in meaningful work.
EarlyON Child and Family Centres
All existing child and family programs funded by the Ministry of Education have been combined into one program model, and services will be provided through EarlyON Child and Family Centres.
The goal is to enhance the quality and consistency of child and family programs across Ontario for parents, caregivers and young children ages 0-6 to ensure that:
- Expecting parents, parents, caregivers and home child care providers have access to high quality services that support them in their role;
- Children have access to inclusive, play and inquiry-based learning opportunities to improve their developmental health and well-being;
- Parents, caregivers and home child care providers have a better understanding of early learning and development, find it easy to access support, and are provided with an accessible, non-stigmatized place to seek help; and
- Local services collaborate in an integrated way to meet the needs of children and families and actively engage parents and caregivers to increase participation.
Community Planning
Algoma District Services Administration Board (ADSAB) is the system manger directed to plan and deliver community-based early years programs and services governed and funded by the Ministry of Education.
ADSAB is attuned to the complex and often differing needs of the communities in our area. By providing leadership to local service providers, school boards, and community partners, ADSAB breaks down barriers and establishes connections between programs and services. In the role of guiding local planning tables ADASB finds other innovative ways to connect and work with community partners.